Material
+++
{"formula": "C4H8FN", "method": "ωB97M-V/def2-TZVPD", "smiles": "CN1CC(F)C1", "e_above_lowest_kj_mol": 94.0, "max_force_ev_per_a": 1.06, "e_lumo_ev": 1.1, "energy_ha": -311.783567, "symbols": ["C", "N", "C", "C", "F", "C", "H", "H", "H", "H", "H", "H", "H", "H"], "xyz": [[-1.7761, 0.0047, -0.3213], [-0.3592, 0.0096, -0.5978], [0.4554, -1.0512, 0.0109], [1.5476, -0.0150, 0.2987], [2.5365, 0.0045, -0.6722], [0.4702, 1.0460, 0.0309], [-2.2302, 0.9116, -0.7186], [-2.2556, -0.8536, -0.7629], [-1.9846, -0.0277, 0.7593], [0.7312, -1.8730, -0.6229], [0.0051, -1.4615, 0.9575], [2.0459, -0.0248, 1.2577], [0.7614, 1.8988, -0.6022], [0.0524, 1.4318, 0.9829]], "atomic_forces_ev_per_a": [[0.27, 0.42, 0.32], [-0.14, -0.13, -0.17], [-0.31, 0.15, 1.00], [-0.20, 0.19, -0.24], [0.03, -0.10, -0.06], [0.08, 0.28, 0.32], [-0.05, -0.02, -0.09], [-0.11, -0.30, -0.31], [0.01, 0.03, 0.12], [0.11, -0.38, -0.43], [0.34, 0.35, -0.57], [0.03, -0.01, 0.23], [-0.10, -0.34, 0.12], [0.04, -0.13, -0.25]], "nbo_charge": [-0.41, -0.41, -0.25, 0.19, -0.36, -0.25, 0.20, 0.20, 0.16, 0.21, 0.17, 0.17, 0.21, 0.17]}


{"formula": "C4H8FN", "method": "ωB97M-V/def2-TZVPD", "e_above_lowest_kj_mol": 439.8, "max_force_ev_per_a": 5.03, "e_lumo_ev": [1.0, 0.4], "energy_ha": -311.651894, "symbols": ["C", "C", "C", "C", "N", "F", "H", "H", "H", "H", "H", "H", "H", "H"], "xyz": [[-0.8797, 0.6885, 0.2643], [-2.3198, 0.3446, 0.1142], [1.8861, -0.5062, -0.6676], [1.0654, -1.2907, 0.2834], [-0.3472, 1.8050, 0.3822], [1.5526, -1.3921, 1.4866], [-2.4773, -0.5689, -0.2852], [-2.7106, 0.5815, 1.0814], [-2.8354, 1.0400, -0.4826], [2.7301, -0.1650, -0.1484], [2.0482, -0.9219, -1.5759], [1.3016, 0.4998, -0.9108], [0.2311, -1.9938, 0.0356], [0.7548, 1.8792, 0.4228]], "atomic_forces_ev_per_a": [[1.26, 0.35, -0.21], [1.41, 2.81, 1.48], [-3.36, 3.19, 1.95], [-2.15, 0.00, -2.25], [1.73, -0.25, -0.17], [0.53, -0.26, 1.79], [-0.57, -3.17, -0.60], [-0.65, -0.80, 0.89], [-0.36, 1.21, -1.21], [1.61, 0.16, 0.40], [0.85, -1.58, -2.68], [1.19, -1.81, 0.30], [1.15, 0.62, 0.27], [-2.64, -0.48, 0.05]], "nbo_charge": [0.31, -0.72, -0.71, 0.25, -0.69, -0.33, 0.22, 0.24, 0.23, 0.23, 0.22, 0.22, 0.16, 0.37]}


{"formula": "C4H8FN", "method": "ωB97M-V/def2-TZVPD", "e_above_lowest_kj_mol": 178.6, "multiplicity": 3, "max_force_ev_per_a": 4.97, "e_lumo_ev": [0.9, -2.6], "energy_ha": -311.586545, "symbols": ["C", "C", "C", "C", "N", "F", "H", "H", "H", "H", "H", "H", "H", "H"], "xyz": [[0.0787, -0.5708, 0.4871], [-0.4111, 0.3046, -0.6390], [1.3508, -1.4136, 0.3286], [-1.2084, 0.2373, -1.7999], [0.1303, 0.8981, 0.3425], [0.0883, 2.8355, 3.1207], [-0.5613, -0.8511, 1.2219], [0.1657, 2.4282, 2.2146], [1.0054, -2.0889, -0.4179], [1.6563, -1.8518, 1.3352], [2.0897, -0.8209, 0.0259], [-0.6867, -0.2195, -2.6256], [-1.4679, 1.3047, -1.9691], [-2.2297, -0.1917, -1.6249]], "atomic_forces_ev_per_a": [[3.82, 0.44, 0.79], [0.03, 0.07, -2.59], [-3.88, -1.01, 2.93], [-2.27, 0.72, -0.10], [0.87, 0.82, 2.27], [0.27, -1.23, -2.79], [-2.20, -1.17, 1.96], [-0.32, 1.05, 2.63], [0.57, -1.38, -0.49], [-0.64, 0.07, -1.44], [3.02, 2.33, -1.64], [-0.24, -0.07, -0.66], [0.38, -0.43, -0.51], [0.60, -0.22, -0.35]], "nbo_charge": [0.10, 0.07, -0.64, -0.66, -0.39, -0.58, 0.17, 0.58, 0.23, 0.22, 0.22, 0.22, 0.26, 0.21]}
+++

Exercise
The reader should give back only the lines further above with the word "C4H8FN" in them.

Response
{"formula": "C4H8FN", "method": "ωB97M-V/def2-TZVPD", "smiles": "CN1CC(F)C1", "e_above_lowest_kj_mol": 94.0, "max_force_ev_per_a": 1.06, "e_lumo_ev": 1.1, "energy_ha": -311.783567, "symbols": ["C", "N", "C", "C", "F", "C", "H", "H", "H", "H", "H", "H", "H", "H"], "xyz": [[-1.7761, 0.0047, -0.3213], [-0.3592, 0.0096, -0.5978], [0.4554, -1.0512, 0.0109], [1.5476, -0.0150, 0.2987], [2.5365, 0.0045, -0.6722], [0.4702, 1.0460, 0.0309], [-2.2302, 0.9116, -0.7186], [-2.2556, -0.8536, -0.7629], [-1.9846, -0.0277, 0.7593], [0.7312, -1.8730, -0.6229], [0.0051, -1.4615, 0.9575], [2.0459, -0.0248, 1.2577], [0.7614, 1.8988, -0.6022], [0.0524, 1.4318, 0.9829]], "atomic_forces_ev_per_a": [[0.27, 0.42, 0.32], [-0.14, -0.13, -0.17], [-0.31, 0.15, 1.00], [-0.20, 0.19, -0.24], [0.03, -0.10, -0.06], [0.08, 0.28, 0.32], [-0.05, -0.02, -0.09], [-0.11, -0.30, -0.31], [0.01, 0.03, 0.12], [0.11, -0.38, -0.43], [0.34, 0.35, -0.57], [0.03, -0.01, 0.23], [-0.10, -0.34, 0.12], [0.04, -0.13, -0.25]], "nbo_charge": [-0.41, -0.41, -0.25, 0.19, -0.36, -0.25, 0.20, 0.20, 0.16, 0.21, 0.17, 0.17, 0.21, 0.17]}
{"formula": "C4H8FN", "method": "ωB97M-V/def2-TZVPD", "e_above_lowest_kj_mol": 439.8, "max_force_ev_per_a": 5.03, "e_lumo_ev": [1.0, 0.4], "energy_ha": -311.651894, "symbols": ["C", "C", "C", "C", "N", "F", "H", "H", "H", "H", "H", "H", "H", "H"], "xyz": [[-0.8797, 0.6885, 0.2643], [-2.3198, 0.3446, 0.1142], [1.8861, -0.5062, -0.6676], [1.0654, -1.2907, 0.2834], [-0.3472, 1.8050, 0.3822], [1.5526, -1.3921, 1.4866], [-2.4773, -0.5689, -0.2852], [-2.7106, 0.5815, 1.0814], [-2.8354, 1.0400, -0.4826], [2.7301, -0.1650, -0.1484], [2.0482, -0.9219, -1.5759], [1.3016, 0.4998, -0.9108], [0.2311, -1.9938, 0.0356], [0.7548, 1.8792, 0.4228]], "atomic_forces_ev_per_a": [[1.26, 0.35, -0.21], [1.41, 2.81, 1.48], [-3.36, 3.19, 1.95], [-2.15, 0.00, -2.25], [1.73, -0.25, -0.17], [0.53, -0.26, 1.79], [-0.57, -3.17, -0.60], [-0.65, -0.80, 0.89], [-0.36, 1.21, -1.21], [1.61, 0.16, 0.40], [0.85, -1.58, -2.68], [1.19, -1.81, 0.30], [1.15, 0.62, 0.27], [-2.64, -0.48, 0.05]], "nbo_charge": [0.31, -0.72, -0.71, 0.25, -0.69, -0.33, 0.22, 0.24, 0.23, 0.23, 0.22, 0.22, 0.16, 0.37]}
{"formula": "C4H8FN", "method": "ωB97M-V/def2-TZVPD", "e_above_lowest_kj_mol": 178.6, "multiplicity": 3, "max_force_ev_per_a": 4.97, "e_lumo_ev": [0.9, -2.6], "energy_ha": -311.586545, "symbols": ["C", "C", "C", "C", "N", "F", "H", "H", "H", "H", "H", "H", "H", "H"], "xyz": [[0.0787, -0.5708, 0.4871], [-0.4111, 0.3046, -0.6390], [1.3508, -1.4136, 0.3286], [-1.2084, 0.2373, -1.7999], [0.1303, 0.8981, 0.3425], [0.0883, 2.8355, 3.1207], [-0.5613, -0.8511, 1.2219], [0.1657, 2.4282, 2.2146], [1.0054, -2.0889, -0.4179], [1.6563, -1.8518, 1.3352], [2.0897, -0.8209, 0.0259], [-0.6867, -0.2195, -2.6256], [-1.4679, 1.3047, -1.9691], [-2.2297, -0.1917, -1.6249]], "atomic_forces_ev_per_a": [[3.82, 0.44, 0.79], [0.03, 0.07, -2.59], [-3.88, -1.01, 2.93], [-2.27, 0.72, -0.10], [0.87, 0.82, 2.27], [0.27, -1.23, -2.79], [-2.20, -1.17, 1.96], [-0.32, 1.05, 2.63], [0.57, -1.38, -0.49], [-0.64, 0.07, -1.44], [3.02, 2.33, -1.64], [-0.24, -0.07, -0.66], [0.38, -0.43, -0.51], [0.60, -0.22, -0.35]], "nbo_charge": [0.10, 0.07, -0.64, -0.66, -0.39, -0.58, 0.17, 0.58, 0.23, 0.22, 0.22, 0.22, 0.26, 0.21]}